Please filter the rows below: keep the lines with the word "NBO".

+++
No. 1
Entry from the Open Molecules 2025 dataset: the molecule C18H19N5O3 in a non-equilibrium geometry (ωB97M-V/def2-TZVPD).

Results
HOMO energy, eV: -8.1
SMILES string: COc1ccc(OCc2nc(C#N)c(NCCCn3ccnc3)o2)cc1
Gap between HOMO and LUMO, Ha: 0.31543
Relative energy (zero: lowest compared OMol25 entry of this formula, charge and spin), kcal/mol: 65.5
Strongest force on any atom, eV Å⁻¹: 1.44

XYZ file:
```
45
Properties=species:S:1:pos:R:3:forces:R:3
C -6.6855 -0.1120 -2.3618 -0.12 -0.11 -0.08
O -5.7831 0.7628 -1.7320 0.19 0.16 0.14
C -4.9291 0.2529 -0.7975 0.16 0.12 0.11
C -4.8716 -1.0816 -0.4092 -0.16 0.10 -0.18
C -3.9582 -1.4840 0.5467 0.29 0.14 0.22
C -3.0890 -0.5729 1.1362 -0.22 -0.15 -0.18
O -2.2304 -1.0939 2.0752 -0.14 -0.14 -0.05
C -1.2645 -0.2477 2.6475 0.17 -0.16 0.08
C -0.2792 0.2680 1.6527 0.00 0.89 0.27
N 0.1420 1.4744 1.5291 -0.57 -0.28 0.53
C 1.0349 1.4596 0.4799 -0.12 -1.43 -0.14
C 1.7257 2.5870 0.0263 0.14 0.20 -0.12
N 2.2999 3.5047 -0.3540 0.25 0.36 -0.17
C 1.0951 0.1613 -0.0019 0.26 1.02 -0.16
N 1.7456 -0.3846 -1.0537 -0.29 0.09 0.19
C 1.8159 -1.8215 -1.2027 -0.01 -0.32 0.29
C 2.6762 -2.5231 -0.1397 0.15 0.12 -0.29
C 4.1828 -2.3589 -0.3720 -0.41 -0.49 0.19
N 4.5711 -0.9774 -0.4302 0.31 0.29 -0.07
C 4.5990 -0.0861 0.6080 0.01 0.10 0.19
C 4.9172 1.1240 0.0616 -0.09 -0.13 0.23
N 5.0792 0.9959 -1.2804 0.07 0.35 -0.55
C 4.8656 -0.2620 -1.5444 0.07 -0.16 -0.09
O 0.2711 -0.5978 0.7479 0.19 -0.22 -0.33
C -3.1468 0.7627 0.7539 0.12 -0.08 0.19
C -4.0579 1.1632 -0.2037 -0.28 -0.14 -0.21
H -7.2562 0.5033 -3.0557 0.01 -0.09 0.03
H -6.1638 -0.8963 -2.9206 -0.02 0.02 0.03
H -7.3697 -0.5730 -1.6418 0.03 0.00 -0.02
H -5.5294 -1.8189 -0.8412 -0.07 -0.04 -0.06
H -3.9074 -2.5168 0.8537 0.00 -0.12 0.03
H -1.7135 0.6115 3.1607 0.14 -0.07 -0.10
H -0.7538 -0.8761 3.3862 -0.11 0.15 -0.06
H 2.4768 0.1828 -1.4570 -0.02 0.06 0.07
H 0.7937 -2.2046 -1.1317 0.14 -0.04 -0.16
H 2.1990 -2.0331 -2.2026 -0.09 -0.02 0.00
H 2.4112 -2.1291 0.8430 -0.02 -0.07 0.04
H 2.4421 -3.5882 -0.1465 -0.01 -0.05 0.06
H 4.4649 -2.8269 -1.3194 0.04 0.03 0.10
H 4.7299 -2.8559 0.4361 0.02 0.04 -0.18
H 4.4062 -0.3836 1.6183 -0.06 -0.08 0.22
H 5.0318 2.0745 0.5402 0.00 0.18 0.20
H 4.9257 -0.7040 -2.5198 0.01 -0.22 -0.21
H -2.4911 1.5007 1.1872 0.05 0.07 0.04
H -4.1083 2.1962 -0.5085 0.00 0.13 -0.04
```
Forces are in eV/Å.

Results of the natural (NBO) charge analysis, in e, for atoms 1 through 4: C -0.251; O -0.493; C 0.263; C -0.245

---

No. 2
Entry from the Open Molecules 2025 dataset: a cluster of 2 separate species, C18H19N7O2 in total in a non-equilibrium geometry (ωB97M-V/def2-TZVPD).

Results
HOMO energy, eV: -8.3
Gap between HOMO and LUMO, Ha: 0.25526
Relative energy (zero: lowest compared OMol25 entry of this formula, charge and spin), kcal/mol: 114.9
Strongest force on any atom, eV Å⁻¹: 3.62

XYZ file:
```
46
Properties=species:S:1:pos:R:3:forces:R:3
C -0.6574 -1.6484 1.7690 -0.28 -1.16 -0.05
C -1.4988 -0.4311 1.5867 -0.28 0.57 0.34
C -0.9135 0.8414 1.5260 -0.81 -0.09 -0.15
N 0.4832 0.9033 1.6482 1.97 -0.12 0.26
C 1.3284 0.0119 1.0243 0.13 0.92 -1.42
N 2.5593 0.5125 1.2506 -0.68 0.59 1.16
C 3.7717 0.0270 0.6514 0.59 -0.24 -0.15
C 2.5151 1.6003 2.1403 0.00 -0.21 -0.51
C 1.2168 1.8506 2.3733 -0.24 -0.30 -0.17
C -1.6571 2.0153 1.3094 -0.26 -0.81 -0.01
C -1.0268 3.3497 1.0837 -0.13 0.77 -0.01
C -3.0467 1.8900 1.2360 0.44 -0.31 0.10
C -3.6615 0.6421 1.3583 0.13 0.00 0.10
C -5.1516 0.5519 1.2920 -0.40 -0.01 0.01
C -2.8917 -0.5104 1.5437 0.16 0.46 -0.23
H -1.3148 -2.5199 1.8486 -0.03 0.04 0.03
H 0.0244 -1.8278 0.9185 -0.45 0.10 0.79
H -0.0775 -1.6198 2.7038 0.06 0.14 -0.37
H 3.5300 -0.7385 -0.0982 0.00 0.27 0.33
H 4.3041 0.8571 0.1651 -0.18 -0.24 0.05
H 4.4417 -0.4019 1.4076 -0.15 0.00 -0.17
H 3.3928 2.0989 2.5043 0.11 0.04 0.02
H 0.7509 2.5968 2.9860 0.05 -0.02 0.10
H -1.8173 4.0556 0.8118 0.11 -0.04 0.00
H -0.5510 3.7606 1.9821 -0.04 -0.07 -0.30
H -0.3047 3.3602 0.2570 -0.01 -0.19 0.28
H -3.6437 2.7935 1.0844 0.09 -0.33 -0.01
+++

Results of the natural (NBO) charge analysis, in e, for atoms 1 through 4: C -0.251; O -0.493; C 0.263; C -0.245